[Request]
Restate all of the listing further below unchanged, please.

[Entries]
Entry 1:
{"formula": "C14H51MgN22O12", "method": "ωB97M-V with the def2-TZVPD basis set", "elements": ["Mg", "C", "C", "C", "O", "H", "H", "H", "H", "H", "H", "H", "C", "O", "N", "N", "H", "H", "H", "H", "C", "O", "N", "N", "H", "H", "H", "H", "C", "O", "N", "N", "H", "H", "H", "H", "C", "O", "N", "N", "H", "H", "H", "H", "C", "O", "N", "N", "H", "H", "H", "H", "C", "O", "N", "N", "H", "H", "H", "H", "C", "O", "N", "N", "H", "H", "H", "H", "C", "O", "N", "N", "H", "H", "H", "H", "C", "O", "N", "N", "H", "H", "H", "H", "C", "O", "N", "N", "H", "H", "H", "H", "C", "O", "N", "N", "H", "H", "H", "H"], "positions_angstrom": [[-0.549, -0.565, -3.020], [0.302, 1.056, -0.013], [0.470, -0.450, 0.003], [0.156, -1.164, 1.292], [-0.171, -1.000, -1.123], [-0.733, 1.380, 0.024], [0.876, 1.311, -0.908], [0.863, 1.536, 0.796], [1.555, -0.576, -0.141], [0.679, -0.726, 2.147], [0.429, -2.217, 1.380], [-0.901, -1.192, 1.587], [-4.205, 1.744, 1.409], [-5.102, 2.169, 0.675], [-2.967, 1.515, 0.906], [-4.387, 1.398, 2.693], [-2.275, 1.087, 1.499], [-2.899, 1.419, -0.093], [-5.270, 1.427, 3.168], [-3.581, 1.079, 3.200], [-2.591, -3.851, -0.412], [-3.532, -4.185, -1.136], [-1.358, -4.032, -0.882], [-2.650, -3.419, 0.883], [-0.534, -3.771, -0.370], [-1.332, -4.449, -1.794], [-3.487, -3.134, 1.358], [-1.808, -3.179, 1.380], [4.451, 1.728, -0.011], [4.657, 0.539, -0.244], [5.299, 2.596, 0.610], [3.348, 2.416, -0.459], [6.275, 2.341, 0.676], [5.192, 3.568, 0.389], [2.525, 1.893, -0.720], [3.428, 3.396, -0.285], [0.216, -3.299, -4.611], [0.035, -2.441, -3.737], [0.705, -4.503, -4.262], [-0.025, -3.090, -5.938], [1.166, -4.470, -3.366], [0.936, -5.098, -5.038], [0.031, -2.158, -6.301], [0.168, -3.925, -6.463], [-2.003, 2.356, -2.664], [-1.430, 1.257, -2.710], [-3.344, 2.400, -2.565], [-1.393, 3.502, -2.385], [-3.846, 3.272, -2.549], [-3.881, 1.581, -2.803], [-2.065, 4.167, -2.039], [-0.441, 3.537, -2.071], [1.856, 1.019, -4.239], [1.255, 0.142, -3.613], [3.020, 1.636, -3.845], [1.403, 1.503, -5.408], [3.272, 1.427, -2.889], [3.207, 2.571, -4.163], [0.503, 1.256, -5.776], [1.947, 2.260, -5.782], [-0.338, 4.308, 2.076], [-1.170, 4.496, 2.946], [-0.405, 4.494, 0.731], [0.816, 3.686, 2.365], [0.390, 4.305, 0.155], [-1.273, 4.825, 0.346], [0.960, 3.458, 3.339], [1.439, 3.320, 1.671], [4.423, -2.158, 2.230], [4.376, -3.145, 2.943], [5.037, -2.026, 1.015], [3.862, -0.957, 2.505], [5.515, -2.829, 0.642], [4.935, -1.181, 0.474], [3.754, -0.293, 1.762], [3.270, -0.926, 3.319], [0.649, 1.341, 4.579], [1.708, 0.867, 4.191], [-0.560, 0.818, 4.211], [0.549, 2.434, 5.316], [-1.479, 1.197, 4.345], [-0.414, 0.174, 3.446], [-0.401, 2.740, 5.454], [1.263, 2.994, 5.745], [0.148, -3.384, 4.259], [-0.807, -4.045, 3.832], [0.047, -2.716, 5.420], [1.328, -3.278, 3.621], [0.728, -1.983, 5.529], [-0.731, -2.899, 6.025], [1.269, -3.985, 2.902], [2.135, -2.809, 3.985], [-3.589, -1.300, -2.749], [-2.415, -1.368, -3.130], [-3.890, -1.080, -1.464], [-4.671, -1.223, -3.578], [-4.835, -1.015, -1.134], [-3.092, -1.164, -0.847], [-5.594, -1.201, -3.191], [-4.394, -1.082, -4.534]], "e_homo_ev": -10.07, "charge": 1, "spin_multiplicity": 1}

***

Entry 2:

[Response]
Entry 1:
{"formula": "C14H51MgN22O12", "method": "ωB97M-V with the def2-TZVPD basis set", "elements": ["Mg", "C", "C", "C", "O", "H", "H", "H", "H", "H", "H", "H", "C", "O", "N", "N", "H", "H", "H", "H", "C", "O", "N", "N", "H", "H", "H", "H", "C", "O", "N", "N", "H", "H", "H", "H", "C", "O", "N", "N", "H", "H", "H", "H", "C", "O", "N", "N", "H", "H", "H", "H", "C", "O", "N", "N", "H", "H", "H", "H", "C", "O", "N", "N", "H", "H", "H", "H", "C", "O", "N", "N", "H", "H", "H", "H", "C", "O", "N", "N", "H", "H", "H", "H", "C", "O", "N", "N", "H", "H", "H", "H", "C", "O", "N", "N", "H", "H", "H", "H"], "positions_angstrom": [[-0.549, -0.565, -3.020], [0.302, 1.056, -0.013], [0.470, -0.450, 0.003], [0.156, -1.164, 1.292], [-0.171, -1.000, -1.123], [-0.733, 1.380, 0.024], [0.876, 1.311, -0.908], [0.863, 1.536, 0.796], [1.555, -0.576, -0.141], [0.679, -0.726, 2.147], [0.429, -2.217, 1.380], [-0.901, -1.192, 1.587], [-4.205, 1.744, 1.409], [-5.102, 2.169, 0.675], [-2.967, 1.515, 0.906], [-4.387, 1.398, 2.693], [-2.275, 1.087, 1.499], [-2.899, 1.419, -0.093], [-5.270, 1.427, 3.168], [-3.581, 1.079, 3.200], [-2.591, -3.851, -0.412], [-3.532, -4.185, -1.136], [-1.358, -4.032, -0.882], [-2.650, -3.419, 0.883], [-0.534, -3.771, -0.370], [-1.332, -4.449, -1.794], [-3.487, -3.134, 1.358], [-1.808, -3.179, 1.380], [4.451, 1.728, -0.011], [4.657, 0.539, -0.244], [5.299, 2.596, 0.610], [3.348, 2.416, -0.459], [6.275, 2.341, 0.676], [5.192, 3.568, 0.389], [2.525, 1.893, -0.720], [3.428, 3.396, -0.285], [0.216, -3.299, -4.611], [0.035, -2.441, -3.737], [0.705, -4.503, -4.262], [-0.025, -3.090, -5.938], [1.166, -4.470, -3.366], [0.936, -5.098, -5.038], [0.031, -2.158, -6.301], [0.168, -3.925, -6.463], [-2.003, 2.356, -2.664], [-1.430, 1.257, -2.710], [-3.344, 2.400, -2.565], [-1.393, 3.502, -2.385], [-3.846, 3.272, -2.549], [-3.881, 1.581, -2.803], [-2.065, 4.167, -2.039], [-0.441, 3.537, -2.071], [1.856, 1.019, -4.239], [1.255, 0.142, -3.613], [3.020, 1.636, -3.845], [1.403, 1.503, -5.408], [3.272, 1.427, -2.889], [3.207, 2.571, -4.163], [0.503, 1.256, -5.776], [1.947, 2.260, -5.782], [-0.338, 4.308, 2.076], [-1.170, 4.496, 2.946], [-0.405, 4.494, 0.731], [0.816, 3.686, 2.365], [0.390, 4.305, 0.155], [-1.273, 4.825, 0.346], [0.960, 3.458, 3.339], [1.439, 3.320, 1.671], [4.423, -2.158, 2.230], [4.376, -3.145, 2.943], [5.037, -2.026, 1.015], [3.862, -0.957, 2.505], [5.515, -2.829, 0.642], [4.935, -1.181, 0.474], [3.754, -0.293, 1.762], [3.270, -0.926, 3.319], [0.649, 1.341, 4.579], [1.708, 0.867, 4.191], [-0.560, 0.818, 4.211], [0.549, 2.434, 5.316], [-1.479, 1.197, 4.345], [-0.414, 0.174, 3.446], [-0.401, 2.740, 5.454], [1.263, 2.994, 5.745], [0.148, -3.384, 4.259], [-0.807, -4.045, 3.832], [0.047, -2.716, 5.420], [1.328, -3.278, 3.621], [0.728, -1.983, 5.529], [-0.731, -2.899, 6.025], [1.269, -3.985, 2.902], [2.135, -2.809, 3.985], [-3.589, -1.300, -2.749], [-2.415, -1.368, -3.130], [-3.890, -1.080, -1.464], [-4.671, -1.223, -3.578], [-4.835, -1.015, -1.134], [-3.092, -1.164, -0.847], [-5.594, -1.201, -3.191], [-4.394, -1.082, -4.534]], "e_homo_ev": -10.07, "charge": 1, "spin_multiplicity": 1}

***

Entry 2: